_Brief_
Next, start at the top of the contents further below and transcribe each line, ending with the one that has "Compound: ErAl3B4O12".
_Excerpt_
+++
Compound: Cs2Al2B2O7
Source: the Materials Project
Functional: PBE-GGA
Structure: optimized geometry

Lattice parameters (Å, degrees): 7.230 6.805 9.747 64.78 90.00 90.00
Fractional positions:
Cs 0.863 0.223 0.617
Cs 0.637 0.223 0.117
Cs 0.137 0.777 0.383
Cs 0.363 0.777 0.883
O 0.668 0.741 0.369
O 0.500 0.000 0.500
O 0.832 0.741 0.869
O 0.994 0.461 0.828
O 0.494 0.539 0.672
O 0.332 0.259 0.631
O 0.660 0.745 0.123
O 0.340 0.255 0.877
O 0.000 0.000 0.000
O 0.506 0.461 0.328
O 0.168 0.259 0.131
O 0.006 0.539 0.172
O 0.160 0.255 0.377
O 0.840 0.745 0.623
B 0.389 0.354 0.725
B 0.111 0.354 0.225
B 0.611 0.646 0.275
B 0.889 0.646 0.775
Al 0.119 0.239 0.960
Al 0.619 0.761 0.540
Al 0.381 0.239 0.460
Al 0.881 0.761 0.040

Computed properties:
raw total energy = -7.01 eV/atom


Compound: Al2Cu11B13
Source: the Materials Project
Functional: PBE-GGA
Structure: optimized geometry

Lattice parameters (Å, degrees): 8.024 8.024 8.024 90.00 90.00 90.00
Fractional positions:
B 0.751 0.249 0.008
B 0.000 0.000 0.724
B 0.000 0.724 0.000
B 0.992 0.751 0.751
B 0.771 0.771 0.771
B 0.751 0.992 0.751
B 0.008 0.751 0.249
B 0.992 0.249 0.249
B 0.249 0.249 0.992
B 0.751 0.008 0.249
B 0.249 0.751 0.008
B 0.771 0.229 0.229
B 0.751 0.751 0.992
B 0.008 0.249 0.751
B 0.229 0.229 0.771
B 0.276 0.000 0.000
B 0.135 0.135 0.135
B 0.865 0.135 0.865
B 0.000 0.000 0.276
B 0.724 0.000 0.000
B 0.249 0.992 0.249
B 0.865 0.865 0.135
B 0.229 0.771 0.229
B 0.249 0.008 0.751
B 0.135 0.865 0.865
B 0.000 0.276 0.000
Cu 0.149 0.466 0.851
Cu 0.294 0.706 0.706
Cu 0.294 0.294 0.294
Cu 0.534 0.149 0.149
Cu 0.149 0.149 0.534
Cu 0.851 0.149 0.466
Cu 0.149 0.851 0.466
Cu 0.500 0.500 0.141
Cu 0.706 0.706 0.294
Cu 0.500 0.141 0.500
Cu 0.851 0.466 0.149
Cu 0.149 0.534 0.149
Cu 0.466 0.149 0.851
Cu 0.851 0.534 0.851
Cu 0.500 0.500 0.859
Cu 0.534 0.851 0.851
Cu 0.141 0.500 0.500
Cu 0.466 0.851 0.149
Cu 0.859 0.500 0.500
Cu 0.851 0.851 0.534
Cu 0.706 0.294 0.706
Cu 0.500 0.859 0.500
Al 0.618 0.618 0.618
Al 0.618 0.382 0.382
Al 0.382 0.618 0.382
Al 0.382 0.382 0.618

Computed properties:
raw total energy = -4.77 eV/atom


Compound: DyAl3B4O12
Source: the Materials Project
Functional: PBE-GGA
Structure: optimized geometry

Lattice parameters (Å, degrees): 5.928 5.928 5.928 104.27 104.27 104.27
Fractional positions:
O 0.851 0.149 0.000
O 0.592 0.408 0.000
O 0.529 0.128 0.279
O 0.128 0.279 0.529
O 0.000 0.851 0.149
O 0.872 0.471 0.721
O 0.149 0.000 0.851
O 0.471 0.721 0.872
O 0.408 0.000 0.592
O 0.279 0.529 0.128
O 0.000 0.592 0.408
O 0.721 0.872 0.471
B 0.000 0.443 0.557
B 0.000 0.000 0.000
B 0.557 0.000 0.443
B 0.443 0.557 0.000
Dy 0.500 0.500 0.500
Al 0.056 0.944 0.500
Al 0.500 0.056 0.944
Al 0.944 0.500 0.056

Computed properties:
raw total energy = -7.94 eV/atom


Compound: ErAl3B4O12
Source: the Materials Project
Functional: PBE-GGA
Structure: optimized geometry

Lattice parameters (Å, degrees): 5.918 5.918 5.918 104.31 104.31 104.31
Fractional positions:
O 0.092 0.500 0.908
O 0.500 0.908 0.092
O 0.971 0.370 0.219
O 0.500 0.649 0.351
O 0.219 0.971 0.370
O 0.029 0.781 0.630
O 0.781 0.630 0.029
O 0.370 0.219 0.971
O 0.630 0.029 0.781
O 0.908 0.092 0.500
O 0.351 0.500 0.649
O 0.649 0.351 0.500
B 0.500 0.500 0.500
B 0.943 0.500 0.057
B 0.057 0.943 0.500
B 0.500 0.057 0.943
Al 0.444 0.556 0.000
Al 0.556 0.000 0.444
Al 0.000 0.444 0.556
Er 0.000 0.000 0.000

Computed properties:
raw total energy = -7.93 eV/atom


Compound: YErAl6B8O24
Source: the Materials Project
Functional: PBE-GGA
Structure: optimized geometry

Lattice parameters (Å, degrees): 9.355 5.921 7.260 66.12 90.00 90.00
Fractional positions:
B 0.000 0.500 0.500
B 0.721 0.943 0.222
B 0.721 0.057 0.778
B 0.222 0.057 0.279
B 0.557 0.500 0.500
B 0.057 0.500 0.000
B 0.500 0.500 0.000
B 0.222 0.943 0.721
O 0.799 0.779 0.172
O 0.409 0.500 0.500
O 0.649 0.500 0.000
O 0.149 0.500 0.500
O 0.796 0.909 0.704
O 0.926 0.649 0.574
O 0.125 0.372 0.904
O 0.909 0.500 0.000
O 0.076 0.971 0.703
O 0.076 0.029 0.297
O 0.296 0.909 0.204
+++
_Solution_
Compound: Cs2Al2B2O7
Source: the Materials Project
Functional: PBE-GGA
Structure: optimized geometry

Lattice parameters (Å, degrees): 7.230 6.805 9.747 64.78 90.00 90.00
Fractional positions:
Cs 0.863 0.223 0.617
Cs 0.637 0.223 0.117
Cs 0.137 0.777 0.383
Cs 0.363 0.777 0.883
O 0.668 0.741 0.369
O 0.500 0.000 0.500
O 0.832 0.741 0.869
O 0.994 0.461 0.828
O 0.494 0.539 0.672
O 0.332 0.259 0.631
O 0.660 0.745 0.123
O 0.340 0.255 0.877
O 0.000 0.000 0.000
O 0.506 0.461 0.328
O 0.168 0.259 0.131
O 0.006 0.539 0.172
O 0.160 0.255 0.377
O 0.840 0.745 0.623
B 0.389 0.354 0.725
B 0.111 0.354 0.225
B 0.611 0.646 0.275
B 0.889 0.646 0.775
Al 0.119 0.239 0.960
Al 0.619 0.761 0.540
Al 0.381 0.239 0.460
Al 0.881 0.761 0.040

Computed properties:
raw total energy = -7.01 eV/atom


Compound: Al2Cu11B13
Source: the Materials Project
Functional: PBE-GGA
Structure: optimized geometry

Lattice parameters (Å, degrees): 8.024 8.024 8.024 90.00 90.00 90.00
Fractional positions:
B 0.751 0.249 0.008
B 0.000 0.000 0.724
B 0.000 0.724 0.000
B 0.992 0.751 0.751
B 0.771 0.771 0.771
B 0.751 0.992 0.751
B 0.008 0.751 0.249
B 0.992 0.249 0.249
B 0.249 0.249 0.992
B 0.751 0.008 0.249
B 0.249 0.751 0.008
B 0.771 0.229 0.229
B 0.751 0.751 0.992
B 0.008 0.249 0.751
B 0.229 0.229 0.771
B 0.276 0.000 0.000
B 0.135 0.135 0.135
B 0.865 0.135 0.865
B 0.000 0.000 0.276
B 0.724 0.000 0.000
B 0.249 0.992 0.249
B 0.865 0.865 0.135
B 0.229 0.771 0.229
B 0.249 0.008 0.751
B 0.135 0.865 0.865
B 0.000 0.276 0.000
Cu 0.149 0.466 0.851
Cu 0.294 0.706 0.706
Cu 0.294 0.294 0.294
Cu 0.534 0.149 0.149
Cu 0.149 0.149 0.534
Cu 0.851 0.149 0.466
Cu 0.149 0.851 0.466
Cu 0.500 0.500 0.141
Cu 0.706 0.706 0.294
Cu 0.500 0.141 0.500
Cu 0.851 0.466 0.149
Cu 0.149 0.534 0.149
Cu 0.466 0.149 0.851
Cu 0.851 0.534 0.851
Cu 0.500 0.500 0.859
Cu 0.534 0.851 0.851
Cu 0.141 0.500 0.500
Cu 0.466 0.851 0.149
Cu 0.859 0.500 0.500
Cu 0.851 0.851 0.534
Cu 0.706 0.294 0.706
Cu 0.500 0.859 0.500
Al 0.618 0.618 0.618
Al 0.618 0.382 0.382
Al 0.382 0.618 0.382
Al 0.382 0.382 0.618

Computed properties:
raw total energy = -4.77 eV/atom


Compound: DyAl3B4O12
Source: the Materials Project
Functional: PBE-GGA
Structure: optimized geometry

Lattice parameters (Å, degrees): 5.928 5.928 5.928 104.27 104.27 104.27
Fractional positions:
O 0.851 0.149 0.000
O 0.592 0.408 0.000
O 0.529 0.128 0.279
O 0.128 0.279 0.529
O 0.000 0.851 0.149
O 0.872 0.471 0.721
O 0.149 0.000 0.851
O 0.471 0.721 0.872
O 0.408 0.000 0.592
O 0.279 0.529 0.128
O 0.000 0.592 0.408
O 0.721 0.872 0.471
B 0.000 0.443 0.557
B 0.000 0.000 0.000
B 0.557 0.000 0.443
B 0.443 0.557 0.000
Dy 0.500 0.500 0.500
Al 0.056 0.944 0.500
Al 0.500 0.056 0.944
Al 0.944 0.500 0.056

Computed properties:
raw total energy = -7.94 eV/atom


Compound: ErAl3B4O12